Brief =
Please work out how many lines underneath have the word "structure" in them; a number is enough.

Excerpt =
........
Below is C34H69IInO8S as an isolated structure at a distorted geometry, with properties calculated with ωB97M-V with the def2-TZVPD basis set.

Last column: Löwdin charge in e.
CARTESIAN COORDINATES (ANGSTROEM)
C  2.50  -3.58  0.45  -0.053
C  3.60  -2.82  -0.28  -0.223
O  4.38  -2.01  0.60  -0.056
C  3.74  -0.93  1.18  -0.439
O  3.34  -1.02  2.34  0.101
C  3.75  0.36  0.41  -0.116
C  3.00  0.38  -0.92  -0.293
C  1.51  0.02  -0.89  -0.271
In  0.18  1.08  0.56  0.185
S  -0.33  -0.30  2.60  0.214
I  1.17  3.58  1.36  0.169
C  -1.79  1.41  -0.44  -0.449
C  -2.24  2.88  -0.39  -0.178
C  -2.85  0.46  0.11  -0.332
C  -2.56  -1.00  -0.27  -0.131
H  2.81  -3.85  1.45  0.083
H  2.33  -4.51  -0.10  0.069
H  1.56  -3.05  0.46  0.064
H  3.19  -2.24  -1.10  0.097
H  4.29  -3.53  -0.71  0.103
H  4.79  0.57  0.18  0.126
H  3.37  1.14  1.06  0.079
H  3.08  1.39  -1.32  0.079
H  3.51  -0.26  -1.64  0.096
H  1.35  -1.05  -0.82  0.015
H  1.10  0.31  -1.86  0.033
H  0.51  -1.32  2.40  -0.316
H  -1.65  1.16  -1.49  0.070
H  -3.25  2.96  -0.81  0.046
H  -1.59  3.48  -1.02  0.052
H  -2.26  3.28  0.62  0.051
H  -3.84  0.75  -0.23  0.079
H  -2.88  0.54  1.20  0.075
H  -3.11  -1.30  -1.16  0.060
H  -1.51  -1.13  -0.49  0.040
H  -2.79  -1.67  0.56  0.059
C  -1.19  3.62  5.57  -0.167
C  -1.37  5.14  5.59  -0.176
C  -1.64  5.42  4.12  -0.219
O  -2.31  4.27  3.60  -0.155
C  -2.22  3.20  4.54  -0.198
H  -1.35  3.14  6.54  0.107
H  -0.18  3.37  5.23  0.115
H  -2.24  5.41  6.20  0.106
H  -0.50  5.68  5.97  0.106
H  -0.70  5.56  3.57  0.090
H  -2.27  6.30  3.96  0.111
H  -3.20  3.04  4.99  0.114
H  -1.93  2.29  4.00  0.105
C  7.72  -2.37  3.79  -0.166
C  6.80  -2.54  2.59  -0.168
C  7.56  -3.56  1.76  -0.197
O  8.28  -4.38  2.68  -0.150
C  8.24  -3.78  3.98  -0.214
H  7.22  -1.98  4.67  0.112
H  8.55  -1.69  3.54  0.111
H  5.84  -2.95  2.91  0.117
H  6.60  -1.62  2.05  0.109
H  8.28  -3.07  1.09  0.118
H  6.90  -4.19  1.15  0.101
H  7.57  -4.37  4.62  0.114
H  9.24  -3.82  4.42  0.111
C  -7.07  2.58  -2.73  -0.165
C  -6.84  3.97  -2.15  -0.167
C  -6.42  3.64  -0.72  -0.202
O  -5.76  2.39  -0.78  -0.158
C  -5.96  1.78  -2.05  -0.206
H  -7.02  2.54  -3.81  0.114
H  -8.05  2.20  -2.42  0.091
H  -6.03  4.47  -2.68  0.113
H  -7.72  4.62  -2.19  0.107
H  -7.29  3.55  -0.06  0.114
H  -5.74  4.38  -0.29  0.118
H  -5.03  1.84  -2.62  0.120
H  -6.22  0.73  -1.91  0.109
C  6.66  -7.51  -0.80  -0.169
C  5.63  -7.88  0.25  -0.166
C  4.77  -6.62  0.29  -0.205
O  4.80  -6.07  -1.03  -0.155
C  5.82  -6.72  -1.79  -0.205
H  7.15  -8.37  -1.26  0.108
H  7.43  -6.87  -0.37  0.112
H  5.03  -8.73  -0.08  0.112
H  6.06  -8.12  1.22  0.112
H  5.18  -5.88  0.99  0.110
H  3.73  -6.82  0.57  0.117
H  5.34  -7.38  -2.53  0.115
H  6.39  -5.96  -2.33  0.117
C  -10.60  -2.09  -3.03  -0.173
C  -10.46  -1.37  -1.69  -0.169
C  -9.53  -0.22  -2.05  -0.211
O  -9.81  0.10  -3.42  -0.146
C  -10.62  -0.92  -4.00  -0.210
H  -11.49  -2.72  -3.10  0.108
H  -9.72  -2.72  -3.21  0.114
H  -11.43  -0.99  -1.37  0.112
H  -10.06  -2.00  -0.89  0.112
H  -8.48  -0.51  -1.97  0.115
H  -9.69  0.67  -1.44  0.115
H  -11.64  -0.54  -4.14  0.115
H  -10.21  -1.18  -4.98  0.115
C  3.18  5.61  -2.24  -0.169
C  2.47  5.35  -3.56  -0.171
C  3.29  4.20  -4.13  -0.217
O  3.77  3.46  -3.02  -0.151
C  3.54  4.20  -1.81  -0.220
H  2.56  6.12  -1.50  0.109
H  4.08  6.21  -2.40  0.110
H  1.44  5.03  -3.38  0.114
H  2.44  6.22  -4.22  0.106
H  4.15  4.58  -4.70  0.111
H  2.71  3.54  -4.78  0.114
H  2.72  3.75  -1.25  0.032
H  4.44  4.16  -1.19  0.120

Results
maximum force	2.314	eV Å⁻¹
charge	-1
E_tot	-76867.548	eV
Kohn-Sham gap	6.8	eV

* * * * *

[1]
The following is a quantum chemistry calculation of a molecular structure, C42H38BrN7O4S2Sn, from the OMol25 dataset.

Last column: Mulliken charge in e.
Cartesian coordinates (Å):
1 C 4.93236 0.32810 0.63213  -0.732
2 C -2.82961 -2.99102 1.35988  0.114
3 N 2.69075 -0.24126 1.16266  1.204
4 C 2.22532 2.76517 3.29523  -0.310
5 C -3.95715 -1.30171 3.16326  0.554
........

Here it is =
2